_Material_
********
Entry from Alexandria: crystalline Cd6GeO8 at its relaxed geometry (PBE).

```
15
Lattice="-2.5376 5.5919 2.5690 -1.2779 0.3860 6.5212 3.7527 3.8715 3.9035" Properties=species:S:1:pos:R:3 pbc="T T T"
O 2.1701 4.3119 4.9881
Ge 0.0000 0.0000 0.0000
O 0.6938 7.5652 6.4827
O -2.2329 5.5374 8.0057
Cd 1.8764 1.9357 1.9518
O 1.4267 4.5365 8.7821
Cd 1.2374 2.1287 5.2124
O -0.7566 2.2841 6.5111
O -0.0471 7.3870 9.7453
Cd -1.9078 2.9889 4.5451
O -0.0157 2.4623 3.2484
O -1.4895 5.3129 4.2117
Cd 0.6076 4.7317 3.2363
Cd -0.6390 0.1930 3.2606
Cd -1.2688 2.7960 1.2845
```

Values from the calculation:
DOS(E_F), states/eV/atom: 0.126
ΔE_f (raw), eV/atom: -1.164
Space-group type: No. 225

----------

Entry 1:
A relaxed structure of BaBeBiRu2. Source: Alexandria, functional PBE.

POSCAR file:
```
BaBeBiRu2
1.0
-0.4198 -5.0235 -1.1796
3.4241 -1.1565 3.7069
-3.5647 -0.4429 3.1546
Ru Be Bi Ba
2 1 1 1
Cartesian
1.7120 -0.5783 1.8535
-0.2099 -2.5118 -0.5898
-1.7824 -0.2214 1.5773
0.0000 0.0000 0.0000
-0.2802 -3.3115 2.8410
```

Values from the calculation:
SG: P4/mmm
DFT formation energy: 5.6 eV/f.u.

---

Entry 2:
A relaxed structure of BaScBe2Bi. Source: Alexandria, functional PBE.

POSCAR file:
```
BaScBe2Bi
1.0
5.1706 0.0000 0.0000
0.0000 5.5315 0.0000
0.0000 0.0000 5.1706
Sc Be Bi Ba
1 2 1 1
Cartesian
0.0000 0.0000 0.0000
0.0000 0.0000 2.5853
2.5853 0.0000 0.0000
0.0000 2.7658 0.0000
2.5853 2.7658 2.5853
```

Values from the calculation:
SG: P4/mmm
DFT formation energy: 2.3 eV/f.u.

---

Entry 3:
A relaxed structure of Ba2BeSiBi. Source: Alexandria, functional PBE.

POSCAR file:
```
Ba2BeSiBi
1.0
6.4445 0.0000 0.0000
0.0000 4.0232 0.0000
0.0000 0.0000 6.4445
Be Si Bi Ba
1 1 1 2
Cartesian
0.0000 0.0000 0.0000
0.0000 2.0116 0.0000
3.2222 2.0116 3.2222
0.0000 0.0000 3.2222
3.2222 0.0000 0.0000
```

Values from the calculation:
SG: P4/mmm
uncorrected formation energy: -0.2708 eV per atom

---

Entry 4:
A relaxed structure of BaBe2TcBi. Source: Alexandria, functional PBE.

POSCAR file:
```
BaBe2TcBi
1.0
-2.6028 -3.1469 -2.8479
0.3361 -3.7232 3.8069
-4.2326 1.6778 2.0145
Tc Be Bi Ba
1 2 1 1
Cartesian
0.1681 -1.8616 1.9035
-2.1163 0.8389 1.0073
-1.3014 -1.5735 -1.4239
0.0000 0.0000 0.0000
-3.2497 -2.5962 1.4868
```

Values from the calculation:
SG: P4/mmm
DFT formation energy: 6.0 eV/f.u.

---

Entry 5:
A relaxed structure of BaBeBiW2. Source: Alexandria, functional PBE.

POSCAR file:
```
BaBeBiW2
1.0
-0.2513 -2.7069 -4.5860
4.8570 -0.0724 -0.2234
0.0561 -4.5922 2.7075
Be Bi W Ba
1 1 2 1
Cartesian
2.4285 -0.0362 -0.1117
0.0000 0.0000 0.0000
0.0281 -2.2961 1.3537
-0.1257 -1.3535 -2.2930
2.3309 -3.6857 -1.0510
```

Values from the calculation:
SG: P4/mmm
DFT formation energy: 10.4 eV/f.u.

---

Entry 6:
A relaxed structure of BaBeBr. Source: Alexandria, functional PBE.

POSCAR file:
```
BaBeBr
1.0
4.0791 0.0000 0.0000
0.0000 4.0791 0.0000
0.0000 0.0000 6.1287
Be Ba Br
1 1 1
Cartesian
2.0396 2.0396 4.3263
0.0000 0.0000 0.0794
2.0396 2.0396 2.1092
```

Values from the calculation:
SG: P4mm
uncorrected formation energy: -0.2678 eV per atom
E above lowest polymorph: 0 meV/atom

---

Repeat the third record exactly.
A relaxed structure of Ba2BeSiBi. Source: Alexandria, functional PBE.

POSCAR file:
```
Ba2BeSiBi
1.0
6.4445 0.0000 0.0000
0.0000 4.0232 0.0000
0.0000 0.0000 6.4445
Be Si Bi Ba
1 1 1 2
Cartesian
0.0000 0.0000 0.0000
0.0000 2.0116 0.0000
3.2222 2.0116 3.2222
0.0000 0.0000 3.2222
3.2222 0.0000 0.0000
```

Values from the calculation:
SG: P4/mmm
uncorrected formation energy: -0.2708 eV per atom

----------

Entry 1:
First-principles (GGA-PBE) data for a relaxed structure of CsLaZr6CCl18, as listed in Alexandria.

Structure (POSCAR):
```
CsLaZr6CCl18
1.0
9.786 0.000 0.000
-4.893 8.475 0.000
0.000 0.000 18.349
Cs La Zr C Cl
2 2 12 2 36
Cartesian
0.000 5.650 4.587
4.893 2.825 13.762
0.000 5.650 13.762
4.893 2.825 4.587
-0.613 1.766 17.030
-3.670 7.061 10.494
0.613 1.766 10.494
-3.057 8.123 17.030
1.836 0.352 7.855
1.223 1.414 1.319
3.670 7.061 17.030
********

_Assignment_
What is needed: filter the material above: keep the lines with the word "Si".

_Done_
Be Si Bi Ba
Be Si Bi Ba